Sunday, March 24, 2013

Picture of the Day - WTF HOW DO I FIX THIS? YAR.

Apparently when you sleep on victory rolls, you get the perfect Farrah Fawcett curl. But only on one side. LOL

Sunday, March 17, 2013

Picture of the Day: Obligatory Post-Bath Snapshot

I look like a doofus, but I don't care. Rocking out to the Cranberries "Zombie".

Everyday Musings: A Little of This, a Little of That

I'm not too sure what to write today, so it's going to be a mish-mash of just about everything. Mostly complaints, but this is my everyday life, really. So a snapshot, if you will. I tried a random blog topic generator, and got the topic "eating out." Uhhh...too easy. :-P

I finally got a long soak in the tub today. Win.
Doing laundry and packing and cleaning. Win. But doing it all by myself. Not so win.
Pandora seems to have a great soundtrack for my day. Win.
I'm still too tired to do much - not so win.

I started the squat challenge that's been going around, but changed it to the plie' challenge. I'm gonna get back to dancing if it kills me.

_Inserted here: quantum chemistry results_
=====
Here is a structure of composition C22H41BiClNOP3 at a distorted geometry from the OMol25 dataset. Energies are from wB97M-V/def2-TZVPD.

```
! wB97M-V def2-TZVPD RIJCOSX def2/J DEFGRID3
* xyz 3 1
Bi -0.01060 0.13150 0.23209
P 1.90765 -1.17899 2.25070
P 1.82341 2.18969 0.42536
P -0.87090 -2.65607 0.15312
H -0.17516 2.59728 -6.63562
C -1.09113 2.01100 -6.45745
C -1.98146 2.33277 -5.50891
H -1.79532 3.13653 -4.79884
C 3.41424 -2.16517 1.83580
C 2.68739 0.02831 3.39689
C 1.13557 -2.26099 3.52028
C 1.26841 3.43577 -0.78268
C 1.81908 3.09805 2.01321
C 3.55618 1.84604 -0.04407
C -2.16158 -2.52400 -1.13276
C -1.71529 -3.43515 1.57802
C 0.26413 -3.94795 -0.48375
H -1.27239 1.15475 -7.13553
H -2.96187 1.83268 -5.47525
H 3.85905 -2.51122 2.78180
H 4.14393 -1.54210 1.29528
H 3.14369 -3.03205 1.21485
H 3.44885 -0.49032 3.99567
H 1.92438 0.44360 4.06894
H 3.17965 0.84341 2.85352
H 1.85970 -3.02012 3.84669
H 0.24536 -2.76938 3.13588
H 0.83988 -1.65425 4.38626
H 1.89684 4.33706 -0.74874
H 0.22974 3.71265 -0.56135
H 1.27622 2.99959 -1.78954
H 2.41806 4.01630 1.91541
H 2.22897 2.48695 2.82615
H 0.78006 3.35454 2.27096
H 4.11974 2.78302 -0.17064
H 3.55569 1.29340 -0.99522
H 4.04510 1.22628 0.72092
H -2.72273 -3.46290 -1.23849
H -1.70983 -2.26342 -2.09869
H -2.85654 -1.71639 -0.86150
H -2.47452 -4.14574 1.22179
H -2.20661 -2.64829 2.16845
H -0.99298 -3.96884 2.20962
H -0.30068 -4.78069 -0.92776
H 0.89574 -4.33355 0.32955
H 0.91614 -3.50589 -1.24989
C -0.62046 0.67249 -3.17301
C 0.46523 0.24236 -4.01151
C 0.32098 -0.88162 -4.81158
C -0.90310 -1.56280 -4.86353
C -2.02622 -1.03108 -4.21001
C -1.92635 0.17065 -3.53622
O -0.46745 1.41227 -2.12760
H 1.06845 -0.51494 -1.09975
H 1.37960 0.83943 -4.00013
H 1.17191 -1.23442 -5.40257
H -0.98177 -2.52410 -5.36967
H -2.98885 -1.54750 -4.23066
H -2.79812 0.75656 -3.23243
Cl -3.16773 4.44572 3.46037
C -2.73488 2.79957 3.60319
C -3.07653 2.08652 4.75141
C -2.70218 0.75143 4.84653
C -1.98341 0.18153 3.78655
N -1.63804 0.87988 2.70159
C -2.00534 2.16778 2.58600
H -3.62041 2.60288 5.52930
H -2.95495 0.16519 5.72297
H -1.67693 -0.86937 3.84016
H -1.71672 2.71386 1.69003
*
```

Properties
**Kohn-Sham gap (alpha / beta)**: 3.458 / 3.559 eV
**DFT total energy**: -73216.10957 eV
**LUMO energy (alpha / beta)**: -12.7 / -12.6 eV
**F_max**: 4.54 eV Å⁻¹

~~~~~

# CH8Si2

2 unconnected molecules or ions with the total composition CH8Si2 (the ωB97M-V functional and the def2-TZVPD basis, the Open Molecules 2025 dataset).

Values from the calculation:
Kohn-Sham gap (alpha / beta)   8.56 / 9.35 eV
LUMO energy (alpha / beta)   -0.779 / -0.797 eV
ΔE to the lowest compared entry with this formula, charge and spin   86.5 kcal/mol

```
11
Properties=species:S:1:pos:R:3:forces:R:3:mulliken_charge:R:1
C 0.5518 -0.3652 0.0299 -0.4287 0.9503 2.1650 -0.64
Si -1.0164 -1.3761 -0.1175 0.5812 0.2284 -0.1617 0.41
Si 0.6711 1.4800 -0.2973 -0.0453 -0.7125 -0.1878 0.39
H 0.4478 0.2051 2.1334 0.0847 -0.6712 -2.0033 0.05
=====

Sorting stuff for the yard sale and moving and whatnot. Just ugh.

That's about my day. Since I was left with a song, I'll leave one for my Love.

Saturday, March 16, 2013


I sometimes feel I am neglecting my darling. I just get so wrapped up in the Hell that my own world has become, that I forget there is a sweet girl out there craving my attentions. I want so badly to wash away her doubt, but how can I when I feel so lost myself?

I don't know how else to say it, so I leave the words of Dan Brown to do it...

Lost in a world, that scares me to death,
Lost in a crowd, I'm losing my breath.
Lost as a boy, lost as a man,
I need to grow up, don't think I can.

Lost as a person, can't find my way.
Lost in life, every day.
Lost in worry, who am I?
All my life, I've lived a lie.

Lost to kindness, lost to love,
Lost in a sky, like a new-born dove.
Lost in thought, which I shouldn't do,
It winds me up, I can’t get through.

Lost to comfort, all kind words,
Lost to advice, it isn't heard.
Lost to those who really care,
All these people, always there.

Lost in me, I need a break,
Lost in wonder, which road to take?
Lost in a place I don't know well,
Where are you now? There's no one to tell.

Lost here, all alone,
Lost apart from the mobile phone.
Lost still, there are no calls.
I'm struggling alone, to break these walls.

Lost in mind, lost in soul,
Lost memories, they're just a hole.
Lost family, lost mate,
Gone now, yet I'm full of hate.

Lost in a straight world, and I am gay,
Lost now, for what to say,
Lost in boredom, think I'll leave.
There's a lot in life I need to achieve.

Friday, March 15, 2013

Picture of the Day: Intimacy

This picture calls to mind a variety of things, mostly comfort and freedom and the ability to feel at ease with one another. Something I am so very desperately craving tonight. So....picture of the day. Enjoy. -Squeaky

Freewrite: Rainy Night

Spring is a tease - she keeps flitting in and out of my life with ease, bringing me right back to the coldness of winter. Tonight, though, she keeps me company. The windows are open and a light rain sings against the rooftop, calling my name and making me want to wander to places I know I shouldn't be in my own head.

These are the perfect nights for snuggling up with the one you love, and I wish so desperately my Love were here to share it with me. These are the perfect nights for a long walk in the gentle mist, for long, wet kisses in the rain and a romp through the woods, muddy and perfect with Mother Nature.

But I'm here, alone. I'm cleaning and packing and trying to work out what I'm going to do without any help. I don't have anyone to cuddle up with - even the kiddo is gone to her Nana's. I'm here all alone and the thoughts inside my head are driving me insane. Now, more than ever, I need that love and those cuddles and to he held and told that everything is fine. That reassurance that I'm not just some disposable plaything. That reassurance that love really is there.

Because despite the wonderful weather and the beautiful night, where I am in my head, it ain't pretty. -Squeaky

Thursday, March 14, 2013

Picture of The Day: The Feels, I Has Them

I figured my Love could use a little cheering up, so here's a cat getting attacked by a bunch of plastic dinosaurs. Rawr.